“Time was I used to proudly wear this trench coat” said George M. “I was voted top flasher of the year three years in a row. No one worried about being caught. Not any more.”
The reason for the decline in flashing culture: Cell phones. The majority of cell phones now come with cameras enabling “victims” to take photos of flashers In Flagrante Delicto and email those photos to police and/or newspapers as evidence of the “crime.” Continues George M.:
I used to be proud of my flashing skills. I wore an expensive, tailored trench coat. I looked respectable. No one would suspect me. And who were the cops going to believe? Me or the super smoking hot chick? I mean, they probably wanted to flash her as well. But now they just take out their cell phone and snap away. Next thing you know my Johnson is on the front page of the Daily News. I feel so violated. My only consolation is maybe there is some super hot chick reading the paper and looking at my Johnson.
Because of this advance in technology flashers have had to sublimate their tendencies. Instead of “live” flashing, those committed to their lifestyle now take part in “virtual” flashing. Virtual flashing involves a web cam and videos of stars. The technology has proven so popular that virtual flashing fairs have been held in New Jersey and Connecticut. The most popular stars to flash are Lindsey Lohan, Marvin the Martian and Justin Bieber.
“It’s not the same” said one flasher. “But I guess it has advantages. It’s the closest I’ll ever get to showing Marvin the Martian my Johnson.”
The next virtual flashing festival will be held the weekend of April 15th at the Days Inn of Manhattan.
“We expect flashers from all 50 states, Denmark and a large contingent from Bahrain” said the organizer.
Other long-time flashers are opting to start blogs. Said one:
It’s a way of expressing myself online. It’s a way of expressing my anger about our current administration. It’s a way of making my voice heard. And, I get to email registered users a picture of my Johnson.
The first annual Flashing Blog Convention will be held this summer in Philadelphia Pennsylvania.
“Come for the happy hour. Stay to make your voice heard. Leave before the cops show up” is the official slogan.
Finally a convention that will finally except me!
“We, uh, call the police, and we have ’em send over one of their sketch artists. And Miss Balbricker can give a description. We can put up “Wanted” posters all over school… “Have you seen this prick? Report immediately to Beulah Balbricker. Do not attempt to apprehend this prick, as it is armed and dangerous. It was last seen hanging out in the girls’ locker room at Angel Beach High School.”
Molecular data, as found in the file >
********
Entry 1:
C19H28BiN4S2SbSe4 | ωB97M-V/def2-TZVPD

## Properties
- HOMO energy (eV) = -7.7
- energy relative to the best compared isomer or geometry (same formula, charge and spin) (kcal/mol) = 0.0
- net charge = 0

Each line ends with the Mulliken charge.
Positions of all 59 atoms, in Å:
Bi  1.463  0.675  0.273  1.6218
Sb  2.248  2.989  3.351  0.7184
Se  1.989  2.457  5.628  -0.5139
Se  3.631  1.369  2.041  -0.6036
Se  2.292  5.124  2.281  -0.5532
Se  -0.114  2.091  2.147  -0.3755
S  -0.356  0.186  3.250  -0.2140
S  0.068  0.571  -2.040  -0.4929
N  0.111  -1.897  -0.031  1.2330
N  -2.250  0.104  0.765  1.4362
N  3.556  0.626  -1.350  -0.6430
N  1.664  2.962  -0.492  -0.2073
C  1.078  -2.669  0.760  -1.2011
C  0.336  -3.866  -3.189  -0.8244
C  3.471  2.929  -2.228  -0.7288
C  -2.103  -0.085  3.204  0.8651
C  0.198  -2.189  -1.443  -0.4917
C  0.239  -3.521  -1.854  -0.5440
C  -2.834  1.238  0.049  -1.1066
C  0.229  -1.164  -2.392  0.7488
C  -1.248  -2.135  0.475  -1.0670
C  -2.860  -0.123  2.042  -0.7287
C  -2.240  -1.114  -0.045  -1.0762
C  0.376  -2.854  -4.141  -0.6862
C  -4.225  -0.382  2.150  -0.4027
C  3.635  1.457  -2.567  -0.6092
C  -2.703  -0.307  4.444  -0.7324
C  -4.824  -0.625  3.379  -0.8432
C  2.056  3.351  -1.873  -0.7399
C  0.320  -1.530  -3.743  -0.9189
C  -4.056  -0.594  4.534  -0.5623
H  2.287  3.419  0.187  0.0074
H  -2.859  2.110  0.702  0.3842
H  -1.569  -3.151  0.207  0.2880
H  -3.242  -1.567  -0.085  0.3211
H  -3.857  1.045  -0.310  0.3322
H  -1.208  -2.087  1.567  0.6443
H  0.449  -3.096  -5.194  0.3986
H  3.677  -0.352  -1.598  0.2496
H  2.837  1.139  -3.240  0.3058
H  3.778  3.512  -3.099  0.3664
H  2.080  -2.565  0.336  0.3886
H  -5.888  -0.824  3.433  0.3920
H  1.962  4.435  -1.956  0.4282
H  -4.508  -0.766  5.503  0.3891
H  4.309  0.870  -0.710  0.2752
H  -2.097  -0.234  5.338  0.4829
H  -1.977  -0.829  -1.066  0.5756
H  4.589  1.298  -3.075  0.3796
H  0.757  3.380  -0.293  0.3442
H  1.088  -2.281  1.782  0.3480
H  0.379  -4.907  -3.482  0.4075
H  -2.204  1.462  -0.811  0.2061
H  0.842  -3.739  0.805  0.4100
H  0.339  -0.742  -4.486  0.4520
H  4.156  3.207  -1.419  0.3762
H  1.352  2.898  -2.570  0.4328
H  0.208  -4.302  -1.103  0.3028
H  -4.826  -0.405  1.249  0.3551

Entry 2:
C21H43BNiO2P2 | ωB97M-V/def2-TZVPD

## Properties
- HOMO energy (alpha / beta) (eV) = -3.8 / -5.1
- energy relative to the best compared isomer or geometry (same formula, charge and spin) (kcal/mol) = 45.1
- expectation value of S² = 2.040
- multiplicity = 3
- net charge = 0

Each line ends with the Mulliken charge.
Positions of all 70 atoms, in Å:
Ni  -0.988  2.615  -3.105  0.0918
P  1.094  3.100  -1.780  0.9606
P  0.871  -0.362  -3.492  2.0166
O  -0.896  -0.738  3.614  -0.5787
O  -3.119  -0.468  2.935  -0.6697
C  1.298  1.326  -4.038  -1.6605
C  0.637  -1.488  -1.755  -0.2581
C  -1.620  -1.829  4.221  1.5504
C  0.879  1.515  -0.154  -0.7635
C  2.932  -0.712  -0.915  0.4052
C  -3.020  -1.830  3.426  1.6480
C  2.537  3.943  -0.916  -1.5057
********
Back to the page >
They’re just behind the times. They should follow the lead of Brett Farve.
Matt: Some flashers are just traditionalists I suppose.
If they want to stay ahead of the game, the curve etc, they should tweet their ‘johnsons’. lol